CervicalCheck woman ‘wrongly included’ in 221 group

Julie O’Reilly had endometrial cancer not cervical cancer, according to health sources

Julie O’Reilly was wrongly included in the group of 221 women affected by the CervicalCheck controversy, according to health sources.

Julie O’Reilly, the 60-year-old woman originally from the Isle of Man who died of cancer last month, was wrongly included as one of the 221 women caught up in the CervicalCheck controversy, according to health sources.

Ms O’Reilly, who was the 19th of the 20 women caught up in the CervicalCheck controversy to die, was included in the group of women contacted by the HSE last spring. She had received five smear tests under the programme between 2009 and 2013, and was diagnosed with cancer in 2017.

Last summer, she and her husband Tony received an apology from the HSE after it was found the results of an audit of her smear tests had not been communicated to them. Four of these tests, on review, showed evidence of a high-grade abnormality. Mr O'Reilly told his wife's story in The Irish Times last week.

Last Wednesday, HSE acting head of CervicalCheck Damien McCallion told the Oireachtas health committee that two of the women in the 221 group did not have cancer, and two others had a form of cancer other than cervical cancer.


The HSE declined to say during the week what other forms of cancer the two women had.

However, informed sources say Ms O’Reilly was one of the two women included in the 221 group who did not have cervical cancer.

While cancer was in her womb, it was in her endometrium (lining) rather than the cervix (neck), according to sources. Endometrial cancer is different from cervical cancer and is diagnosed differently.

Smear testing is used to screen for cervical cancer, while endometrial cancer is usually diagnosed from symptoms such as vaginal bleeding.

Smear test

A smear test, while not designed to detect endometrial cancer, may occasionally pick up problems originating in the endometrium. Endometrial cancer can travel to the cervix but the commonly-used pap smear for cervical cancer is not designed to pick this up.

Mr O’Reilly’s solicitor Can O’Carroll said on Friday that by February 2017 Julie O’Reilly’s cancer had spread to her knee so she was diagnosed with bone cancer but her primary cancer was endometrial “extending into the cervix”.*

Mr O’Carroll agreed that smear tests were not designed to detect endometrial cancer but added that the test could result in endometrial cancer being picked up. This happened in up to 10 per cent of cases, he maintained.

Mr O’Carroll said he had expert medical opinion that Ms O’Reilly’s death was a consequence of errors made in the reading of her smear tests.

Mr O’Reilly was “very upset” at the suggestion that he was being unreasonable in believing his wife had been let down by the health service, the solicitor added.

While clinicians sought to have the cases of the four women who did not have cervical cancer removed from the 221 grouping, this did not happen and it remains the case that they are part of the group.

Members of the 221 group qualify for supports such as medical cards, payment of expenses, access to treatments and counselling.

About 450-500 cases of endometrial cancer are detected in Ireland each year, but the disease is highly treatable if caught early.

* This article was amended on November 23rd

Paul Cullen

Paul Cullen

These molecular data were left in the article by mistake:
┌──
{
  "formula": "C3H8NO2",
  "method": "ωB97M-V with the def2-TZVPD basis set",
  "de_lowest_ev": 1.1567,
  "lumo_energy_ev": [-9.7100, -14.6903],
  "charge": 2,
  "multiplicity": 2,
  "gap_ev": [11.15, 6.17],
  "largest_force_ev_per_a": 1.39,
  "symbols": ["O", "C", "O", "H", "H", "C", "C", "N", "H", "H", "H", "H", "H", "H"],
  "positions_angstrom": [[0.771, 1.643, -0.169], [0.674, 2.881, -0.044], [-0.442, 3.475, 0.000], [1.604, 3.489, -0.105], [-0.331, 4.447, -0.103], [-1.194, -1.946, -0.543], [0.769, -1.839, 0.855], [-0.021, -1.230, 0.065], [-0.828, -2.844, -1.032], [-1.861, -2.204, 0.274], [-1.651, -1.274, -1.260], [0.676, -2.909, 1.013], [1.556, -1.340, 1.407], [0.279, -0.348, -0.358]]
}


{
  "formula": "C4H16N2O2",
  "method": "ωB97M-V with the def2-TZVPD basis set",
  "de_lowest_ev": 9.8355,
  "lumo_energy_ev": -4.6404,
  "gap_ev": 3.83,
  "largest_force_ev_per_a": 4.65,
  "symbols": ["C", "N", "C", "C", "N", "C", "H", "H", "H", "H", "H", "H", "H", "H", "H", "H", "H", "H", "H", "H", "O", "H", "H", "O"],
  "positions_angstrom": [[-2.608, 0.551, 0.563], [-1.614, 1.665, 0.541], [0.151, -1.677, -1.201], [1.538, -1.133, -0.740], [1.304, 0.321, -0.283], [2.002, 0.716, 0.932], [-2.293, -0.443, 0.263], [-3.001, 0.425, 1.544], [-3.400, 0.843, -0.076], [-0.764, 1.291, 1.026], [0.075, -2.611, -1.798], [-0.490, -1.791, -0.332], [2.340, -1.278, -1.464], [1.857, -1.751, 0.158], [1.063, 0.938, -1.018], [1.957, -0.165, 1.639], [1.599, 1.475, 1.433], [3.088, 0.929, 0.806], [-1.199, 1.921, -2.471], [-1.088, 1.749, -0.392], [-0.603, 1.516, -1.872], [-0.177, -0.754, -1.647], [0.097, -1.485, 2.653], [0.167, -1.254, 1.738]]
}


{
  "formula": "C5H6O",
  "method": "ωB97M-V with the def2-TZVPD basis set",
  "de_lowest_ev": 0.1948,
  "lumo_energy_ev": 1.0150,
  "gap_ev": 10.61,
  "smiles": "O=C1CC=CC1",
  "largest_force_ev_per_a": 0.49,
  "symbols": ["O", "C", "C", "C", "C", "C", "H", "H", "H", "H", "H", "H"],
  "positions_angstrom": [[2.108, 0.251, 1.086], [1.072, 0.122, 0.482], [0.191, 1.260, -0.042], [-1.098, 0.556, -0.371], [-0.991, -0.770, -0.274], [0.393, -1.206, 0.129], [0.678, 1.705, -0.921], [0.093, 2.057, 0.703], [-2.009, 1.087, -0.629], [-1.801, -1.474, -0.437], [0.419, -1.906, 0.970], [0.944, -1.680, -0.696]]
}


{
  "formula": "C6H10O",
  "method": "ωB97M-V with the def2-TZVPD basis set",
  "de_lowest_ev": 1.1681,
  "lumo_energy_ev": 1.1109,
  "gap_ev": 9.88,
  "smiles": "C=CCOC(=C)C",
  "largest_force_ev_per_a": 0.25,
  "symbols": ["C", "C", "O", "C", "C", "C", "C", "H", "H", "H", "H", "H", "H", "H", "H", "H", "H"],
└──

Paul Cullen is a former heath editor of The Irish Times.